Treasuring Advent’s simple pleasures

Treasuring Advent’s simple pleasures

The piece is interrupted by records of molecules:
'''
The following is a DFT calculation (ωB97M-V/def2-TZVPD) of a structure of composition C30H29N3O2 at a distorted geometry.

```
! wB97M-V def2-TZVPD RIJCOSX def2/J DEFGRID3
* xyz 0 1
C 0.364 -0.870 2.742
C -0.188 0.368 2.029
C 0.777 1.426 2.065
N 1.578 2.287 2.223
C -1.533 0.795 2.473
C -2.536 -0.163 2.799
C -3.844 0.235 3.082
C -4.177 1.594 3.143
C -3.177 2.554 2.926
C -1.868 2.164 2.625
H -0.395 -1.631 2.940
H 1.160 -1.362 2.154
H 0.799 -0.555 3.729
H -2.282 -1.218 2.897
H -4.614 -0.514 3.282
H -5.209 1.909 3.332
H -3.406 3.619 3.020
H -1.079 2.924 2.615
C 2.912 -6.105 1.640
O 1.988 -5.052 1.291
C 2.512 -3.929 0.728
C 1.600 -2.868 0.488
C 2.092 -1.655 0.050
C 3.456 -1.530 -0.313
C 4.370 -2.565 -0.097
C 3.899 -3.764 0.453
N 3.650 -0.251 -0.825
C 4.930 0.270 -1.294
C 2.461 0.436 -0.780
C 1.453 -0.369 -0.224
C 0.105 -0.006 0.090
C -0.420 1.138 -0.617
C 0.133 2.408 -0.475
N -0.554 3.329 -1.217
C -0.246 4.746 -1.245
C -1.581 2.687 -1.897
C -1.536 1.294 -1.570
C -2.323 0.424 -2.311
C -3.189 0.953 -3.319
O -3.974 0.203 -4.145
C -3.942 -1.227 -4.021
C -3.260 2.351 -3.552
C -2.440 3.214 -2.846
H 2.292 -6.891 2.072
H 3.429 -6.476 0.746
H 3.645 -5.748 2.375
H 0.543 -3.007 0.684
H 5.425 -2.449 -0.326
H 4.599 -4.585 0.651
H 5.706 -0.467 -1.059
H 4.927 0.444 -2.378
H 5.173 1.217 -0.797
H 2.345 1.446 -1.169
H -0.576 -0.818 0.372
H 1.013 2.695 0.075
H -0.969 5.252 -1.888
H -0.299 5.172 -0.233
H 0.769 4.916 -1.627
H -2.248 -0.656 -2.153
H -4.712 -1.576 -4.713
H -2.963 -1.616 -4.319
H -4.182 -1.529 -2.997
H -3.921 2.697 -4.341
H -2.463 4.286 -3.042
*
```

Values from the calculation:
Strongest force on any atom in eV/Å: 4.4
E_tot in eV: -40143.4652
Highest occupied orbital energy in eV: -7.21
Energy relative to the best compared isomer or geometry (same formula, charge and spin) in kcal per mole: 102.0

=====

Record 1
13
Properties=species:S:1:pos:R:3 method="wB97M-V/def2-TZVPD" e_above_lowest_kj_mol=201.5 e_tot_ev=-9271.4134 smiles="c1cn[nH]c1.C=O" total_charge=0
C 2.086 -0.944 -1.952
O 2.545 0.030 -1.412
C -0.680 0.113 -0.289
N -1.540 -0.717 0.282
N -1.686 -0.233 1.522
C -0.947 0.878 1.754
C -0.265 1.137 0.588
H 2.061 -1.046 -3.055
H 1.654 -1.789 -1.381
H -0.389 -0.043 -1.320
H -2.306 -0.706 2.159
H -0.966 1.383 2.710
H 0.434 1.937 0.394

***

Record 2
142
Properties=species:S:1:pos:R:3 method="wB97M-V/def2-TZVPD" e_above_lowest_kj_mol=0.0 e_tot_ev=-234348.6483 total_charge=-2
Pt -0.742 3.457 -0.711
N 0.383 6.111 -1.026
C -0.630 7.169 -0.942
C -1.994 6.559 -0.617
C -2.489 5.823 -1.869
O -3.097 6.502 -2.708
O -2.185 4.579 -2.007
H 0.737 5.853 -0.114
H 1.171 6.357 -1.609
H -0.701 7.668 -1.911
H -0.370 7.928 -0.195
H -2.711 7.339 -0.365
H -1.887 5.866 0.217
C -2.173 2.977 -5.255
C -2.857 2.275 -4.109
C -3.479 3.007 -3.109
C -4.112 2.380 -2.043
C -4.922 3.205 -1.077
C -4.045 0.983 -1.928
C -3.454 0.226 -2.947
C -3.387 -1.279 -2.885
C -2.886 0.887 -4.030
C -4.725 0.303 -0.781
C -6.077 0.013 -0.956
C -6.807 -0.614 0.037
C -6.172 -0.967 1.213
C -4.818 -0.690 1.417
'''

My late father never got into too much of a fuss about Christmas. While the rest of us were dashing around like headless chickens, he always seemed to be his usual serene self. Whether his Christmas presents cost the earth or the offering was just a humble pair of socks or a scarf, his reaction was fairly similar.

In fact, it was often the small quirky gifts that captured his imagination; he was very pleased one year with a brimmed hat that served him well for many years. Another year he was delighted with a little breakfast set that one of the grandchildren gave him. When we were small children, he loved our handmade cards and would gather them up and put them away safely as as if they were precious jewels.


As we head into the last few weeks before Christmas, the temptation is to make it all about the outward trappings of the season while it’s often the simple things that matter the most. Ever year, I make a firm resolution not to feel pressured into doing more and spending more and to give my children a great example of how Christ should be at the centre of Christmas. It can be a bit of a battle. While browsing on the internet for Christmas resources, I was highly impressed with the Ossory Diocese Resources for Advent 2017 put in place by their Adult Faith Development Group.

In this era of instant entertainment and easy internet access, parishes need to be competitive and offer a variety of resources that appeal to all age groups. Families, who want Christmas to involve a bit more than investing in the Christmas jumpers and decking the halls with boughs of holly, can get great ideas on this website.

I particularly liked the idea of the Advent Tweet Daily Thought where each day a short film will be tweeted with a simple reflection, prayer or thought for that day. The Advent Text of the Day is equally appealing with messages being delivered that aim to encourage the receiver to reflect for a few minutes or to pause to say a short prayer.

I could really see teenagers and young adults signing up for this. I think that, as parents and educators, we have to hold on to the old traditions, but not be afraid to embrace new ways of preparing for the birth of Jesus.

# Calculated molecules, as found in the file
........
(1)
This record from the Open Molecules 2025 dataset describes a structure of composition C18H16CrNO4PS6 at a distorted geometry. The level of theory is wB97M-V/def2-TZVPD.

Each line ends with the Löwdin spin population.
CARTESIAN COORDINATES (ANGSTROEM)
C: 0.445 2.816 -4.415  0.000
C: 0.650 2.484 -2.041  0.001
C: -2.541 1.851 3.288  0.008
C: -1.283 -1.545 -1.446  0.002
H: 0.699 -4.845 -1.452  0.000
H: 0.387 3.480 -5.270  0.000
H: 1.837 -2.729 -0.916  0.000
H: 0.735 2.889 -1.037  0.000
H: -1.874 0.122 1.854  0.002
C: -1.215 -3.930 -1.755  0.001
C: 0.378 1.440 -4.595  0.000
H: -2.996 -2.737 -1.934  0.000
H: 3.070 -0.114 -1.734  0.001
C: 0.457 0.587 -3.500  0.001
S: 2.300 -1.521 3.419  0.050
C: 2.638 -0.137 -0.736  0.009
C: -1.361 2.517 3.315  0.009
H: -2.138 -2.233 1.894  0.000
C: 3.272 0.944 0.164  0.007
H: -1.849 -0.620 -1.402  0.000
H: -0.402 -2.580 1.880  0.001
S: -3.489 1.916 4.749  0.001
C: 0.138 -3.918 -1.466  0.000
H: 0.265 1.028 -5.592  0.000
C: 0.595 1.103 -2.214  0.008
S: -0.192 2.726 2.058  0.048
O: -0.921 -0.574 1.815  0.041
C: -2.478 2.904 5.690  0.002
S: -2.845 3.410 7.247  0.001
H: -1.168 -1.957 3.348  0.001
H: 2.853 -1.087 -0.240  0.002
H: 0.410 -0.486 -3.647  0.000
P: 0.811 0.089 -0.700  0.044
O: 4.301 1.492 -0.221  0.008
C: 0.787 -2.718 -1.177  0.002
H: -1.718 -4.864 -1.977  0.000
O: 2.480 -2.182 2.111  0.051
C: 0.087 -1.519 -1.186  0.004
Cr: 0.832 0.369 1.791  3.658
C: -1.930 -2.736 -1.738  0.000
S: -1.048 3.286 4.859  0.002
N: 1.463 -0.325 3.558  -0.014
C: -1.161 -1.879 2.251  0.008
S: -3.153 0.880 1.957  0.006
O: 2.657 1.158 1.269  0.032
H: 0.630 4.409 -2.988  0.000
C: 0.583 3.337 -3.137  0.000

Cartesian forces (eV/Å) of the 3 atoms listed first:
C 0.00 -0.03 -0.01
C -0.04 0.12 0.01
C -0.08 -0.27 -0.26

Computed properties:
- Net charge: -2
- E: -131330.98847 eV
- Spin multiplicity: 5
- ΔE to the lowest compared entry with this formula, charge and spin: 1.157 eV


(2)
This record from the Open Molecules 2025 dataset describes a cluster of 2 separate species, C4H10O3 in total at a distorted geometry. The level of theory is wB97M-V/def2-TZVPD.

Each line ends with the Löwdin charge.
CARTESIAN COORDINATES (ANGSTROEM)
C: -0.437 0.935 -0.687  -0.309
H: -2.938 1.450 -2.869  -0.121
C: 0.722 0.184 0.146  -0.205
H: 1.495 0.871 0.487  0.078
C: 0.209 -0.787 1.249  -0.275
H: -0.333 -1.586 0.676  0.102
O: -2.135 1.641 -3.381  -0.481
H: -0.432 -0.177 1.935  0.091
O: 0.996 -3.006 1.969  -0.371
H: 2.221 -1.324 1.502  0.072
H: -0.953 1.568 -2.651  -0.052
H: -0.801 1.829 -0.158  0.088
C: 1.197 -1.691 1.980  -0.642
H: 1.348 -1.136 3.052  0.071
H: -1.257 0.250 -0.802  0.084
O: -0.158 1.516 -1.951  -0.224
H: 1.256 -0.536 -0.500  0.095

Cartesian forces (eV/Å) of the 3 atoms listed first:
C 0.59 0.95 -0.22
H 0.55 0.07 -0.13
C -0.33 -0.65 -1.22

Computed properties:
- Net charge: -2
- E: -10448.99573 eV
- ΔE to the lowest compared entry with this formula, charge and spin: 1.039 eV


(3)
........

I have two children for Communion and Confirmation next year and Advent is an excellent time to supplement their preparation for the celebration of these sacraments. I loved the Ossory site’s mention of Communion and Confirmation parent retreats. Many parents can feel a bit out of touch with what’s going on in the school or may have drifted away from the faith. The plan to hold short mini-retreats for parents is something that really interests me and what better time than during Advent. Parents need support as much as children and the chat, advice and interaction with other parents is invaluable.

Other exciting aspects of were the free resources for parishes which include a step-by-step guide to building an Advent wreath and explaining its significance and symbolism, and a simple blessing for the family crib. There’s also a reprinting of the Christmas story and Christmas Grace prayer cards which encourage families to take a moment to say a grace before meals on Christmas Day. This is a great custom for every day of the year and one that the younger children love, often composing their own versions and woe betide any adult who even sniffs at a roast potato before the prayer is over.

Most families have their own Christmas customs and traditions like going to see the Christmas lights being turned on or a trip to bring the younger children to see Santa. With Christmas radio and television stations and a huge focus on Christmas parties and events, we can lose sight of the fact that Advent is actually a season of expectant waiting and preparation for the celebration of the arrival of Jesus.

Taking on some of the suggestions widely available on the various Catholic websites and Facebook pages draws one back to the true meaning of Christmas and helps families to prepare spiritually. For several years I’ve loved using the online Advent Calendar on the Irish Catholic Bishops’ Conference website. I find that young and old enjoy opening the virtual doors and the content is excellent. This year the focus is on family as we prepare for next year’s World Meeting of Families.

Christmas fairs

One old favourite that has charmed generations of children is the Moving Crib in St. Martin’s Apostolate, Parnell Square in Dublin. It’s a few years since I’ve been there but it has a lovely old world atmosphere with over a hundred figures in fourteen different tableaux.

It conveys the true meaning of Christmas in a unique and child friendly way. I’d really recommend it. Every parish has annual Christmas fairs and carol services, many supporting various charities. Children are very eager to get involved if they’re given the chance.

Whatever our commitments and no matter how busy and stressed out we are, our families need those few minutes every day of Advent to stop, be silent and prepare our hearts for the miracle of Christmas, to make room in the inn for the Saviour who is Christ the Lord.